Activity:
Duplicate the whole of the contents below verbatim, please.

Given:
'''
Record 1
A geometry-optimized SrPr2Ge4Pd4 structure, computed with PBE.

Output
raw total energy: -5.40 eV/atom

a = 4.214 Å, b = 4.416 Å, c = 25.482 Å
α = 90.00°, β = 90.00°, γ = 90.00°
Space group Immm (No. 71)
Symmetry-distinct sites (fractional):
Sr  0.000  0.000  0.000
Pr  0.000  0.500  0.148
Ge  0.000  0.000  0.450
Ge  0.000  0.500  0.305
Pd  0.000  0.000  0.250
Pd  0.000  0.500  0.403

Record 2
A geometry-optimized Sr2PrGe4Pd4 structure, computed with PBE.

Output
raw total energy: -5.09 eV/atom

a = 4.325 Å, b = 4.400 Å, c = 25.338 Å
α = 90.00°, β = 90.00°, γ = 90.00°
Space group Immm (No. 71)
Symmetry-distinct sites (fractional):
Sr  0.000  0.000  0.146
Pr  0.000  0.500  0.000
Ge  0.000  0.000  0.302
Ge  0.000  0.500  0.451
Pd  0.000  0.000  0.403
Pd  0.000  0.500  0.250

Record 3
A geometry-optimized PrYGe2Pd4 structure, computed with PBE.

Output
raw total energy: -5.95 eV/atom

a = 4.4300 Å, b = 4.4300 Å, c = 9.2433 Å
α = 90.00°, β = 90.00°, γ = 120.00°
Space group P-6m2 (No. 187)
Symmetry-distinct sites (fractional):
Pr  0.0000  0.0000  0.0000
Y  0.6667  0.3333  0.5000
Ge  0.3333  0.6667  0.2601
Pd  0.0000  0.0000  0.3340
Pd  0.6667  0.3333  0.1784

Record 4
A geometry-optimized PrYGe4Pd2 structure, computed with PBE.

Output
raw total energy: -5.77 eV/atom

a = 4.411 Å, b = 4.257 Å, c = 17.482 Å
α = 90.00°, β = 90.00°, γ = 90.00°
Space group Amm2 (No. 38)
Symmetry-distinct sites (fractional):
Pr  0.000  0.000  0.000
Y  0.500  0.000  0.786
Ge  0.000  0.000  0.358
Ge  0.000  0.000  0.642
Ge  0.500  0.000  0.147
Ge  0.500  0.000  0.427
Pd  0.000  0.000  0.219
Pd  0.500  0.000  0.568

Record 5
A geometry-optimized Ge4Pd3Pt structure, computed with PBE.

Output
raw total energy: -5.48 eV/atom

a = 5.842 Å, b = 3.619 Å, c = 6.298 Å
α = 90.00°, β = 90.08°, γ = 90.00°
Space group Pm (No. 6)
Symmetry-distinct sites (fractional):
Ge  0.000  0.000  0.000
Ge  0.123  0.500  0.498
Ge  0.494  0.000  0.338
Ge  0.625  0.500  0.839
Pd  0.314  0.000  0.725
Pd  0.806  0.500  0.230
Pd  0.813  0.000  0.610
Pt  0.308  0.500  0.109

Record 6
A geometry-optimized GePd2Pt structure, computed with PBE.

Output
raw total energy: -5.52 eV/atom

a = 6.269 Å, b = 6.269 Å, c = 6.269 Å
α = 90.00°, β = 90.00°, γ = 90.00°
Space group F-43m (No. 216)
Symmetry-distinct sites (fractional):
Ge  0.000  0.000  0.000
Pd  0.000  0.000  0.500
Pd  0.250  0.250  0.750
Pt  0.250  0.250  0.250

Record 7
A geometry-optimized Sm2Ge4PdPt structure, computed with PBE.

Output
raw total energy: -5.70 eV/atom

a = 4.410 Å, b = 4.293 Å, c = 17.156 Å
α = 90.00°, β = 90.00°, γ = 90.00°
Space group Amm2 (No. 38)
Symmetry-distinct sites (fractional):
Sm  0.000  0.000  0.000
Sm  0.500  0.000  0.215
Ge  0.000  0.000  0.360
Ge  0.000  0.000  0.643
Ge  0.500  0.000  0.573
Ge  0.500  0.000  0.857
Pd  0.500  0.000  0.432
Pt  0.000  0.000  0.785

Record 8
A geometry-optimized TbTm2Ge3PdPt2 structure, computed with PBE.

Output
raw total energy: -6.00 eV/atom

a = 3.890 Å, b = 12.520 Å, c = 7.185 Å
α = 90.00°, β = 90.00°, γ = 90.00°
Space group Amm2 (No. 38)
Symmetry-distinct sites (fractional):
Tb  0.000  0.000  0.000
Tm  0.000  0.203  0.609
Ge  0.500  0.000  0.662
Ge  0.500  0.129  0.280
Pd  0.000  0.000  0.410
Pt  0.500  0.169  0.906

=====

Record 1
Tb4AgBi | PBE-GGA | optimized geometry

Properties
DOS at the Fermi energy = 12.88 states/eV/cell
Polymorph energy (0 for the lowest one) = 145.8 meV per atom

a b c (Å): 10.733 10.733 6.438
angles (deg): 90.00 90.00 149.67
Atoms (fractional coordinates):
Tb 0.057 0.943 0.750
Tb 0.207 0.793 0.502
Tb 0.207 0.793 0.998
Tb 0.379 0.621 0.750
Tb 0.621 0.379 0.250
Tb 0.793 0.207 0.002
Tb 0.793 0.207 0.498
Tb 0.943 0.057 0.250
Ag 0.081 0.919 0.250
Ag 0.919 0.081 0.750
Bi 0.352 0.648 0.250
Bi 0.648 0.352 0.750


Record 2
Tb3AgBi | PBE-GGA | optimized geometry

Properties
DOS at the Fermi energy = 10.12 states/eV/cell

a b c (Å): 4.191 6.920 10.316
angles (deg): 90.00 90.00 90.00
Atoms (fractional coordinates):
Tb 0.250 0.004 0.178
'''

Outcome:
Record 1
A geometry-optimized SrPr2Ge4Pd4 structure, computed with PBE.

Output
raw total energy: -5.40 eV/atom

a = 4.214 Å, b = 4.416 Å, c = 25.482 Å
α = 90.00°, β = 90.00°, γ = 90.00°
Space group Immm (No. 71)
Symmetry-distinct sites (fractional):
Sr  0.000  0.000  0.000
Pr  0.000  0.500  0.148
Ge  0.000  0.000  0.450
Ge  0.000  0.500  0.305
Pd  0.000  0.000  0.250
Pd  0.000  0.500  0.403

Record 2
A geometry-optimized Sr2PrGe4Pd4 structure, computed with PBE.

Output
raw total energy: -5.09 eV/atom

a = 4.325 Å, b = 4.400 Å, c = 25.338 Å
α = 90.00°, β = 90.00°, γ = 90.00°
Space group Immm (No. 71)
Symmetry-distinct sites (fractional):
Sr  0.000  0.000  0.146
Pr  0.000  0.500  0.000
Ge  0.000  0.000  0.302
Ge  0.000  0.500  0.451
Pd  0.000  0.000  0.403
Pd  0.000  0.500  0.250

Record 3
A geometry-optimized PrYGe2Pd4 structure, computed with PBE.

Output
raw total energy: -5.95 eV/atom

a = 4.4300 Å, b = 4.4300 Å, c = 9.2433 Å
α = 90.00°, β = 90.00°, γ = 120.00°
Space group P-6m2 (No. 187)
Symmetry-distinct sites (fractional):
Pr  0.0000  0.0000  0.0000
Y  0.6667  0.3333  0.5000
Ge  0.3333  0.6667  0.2601
Pd  0.0000  0.0000  0.3340
Pd  0.6667  0.3333  0.1784

Record 4
A geometry-optimized PrYGe4Pd2 structure, computed with PBE.

Output
raw total energy: -5.77 eV/atom

a = 4.411 Å, b = 4.257 Å, c = 17.482 Å
α = 90.00°, β = 90.00°, γ = 90.00°
Space group Amm2 (No. 38)
Symmetry-distinct sites (fractional):
Pr  0.000  0.000  0.000
Y  0.500  0.000  0.786
Ge  0.000  0.000  0.358
Ge  0.000  0.000  0.642
Ge  0.500  0.000  0.147
Ge  0.500  0.000  0.427
Pd  0.000  0.000  0.219
Pd  0.500  0.000  0.568

Record 5
A geometry-optimized Ge4Pd3Pt structure, computed with PBE.

Output
raw total energy: -5.48 eV/atom

a = 5.842 Å, b = 3.619 Å, c = 6.298 Å
α = 90.00°, β = 90.08°, γ = 90.00°
Space group Pm (No. 6)
Symmetry-distinct sites (fractional):
Ge  0.000  0.000  0.000
Ge  0.123  0.500  0.498
Ge  0.494  0.000  0.338
Ge  0.625  0.500  0.839
Pd  0.314  0.000  0.725
Pd  0.806  0.500  0.230
Pd  0.813  0.000  0.610
Pt  0.308  0.500  0.109

Record 6
A geometry-optimized GePd2Pt structure, computed with PBE.

Output
raw total energy: -5.52 eV/atom

a = 6.269 Å, b = 6.269 Å, c = 6.269 Å
α = 90.00°, β = 90.00°, γ = 90.00°
Space group F-43m (No. 216)
Symmetry-distinct sites (fractional):
Ge  0.000  0.000  0.000
Pd  0.000  0.000  0.500
Pd  0.250  0.250  0.750
Pt  0.250  0.250  0.250

Record 7
A geometry-optimized Sm2Ge4PdPt structure, computed with PBE.

Output
raw total energy: -5.70 eV/atom

a = 4.410 Å, b = 4.293 Å, c = 17.156 Å
α = 90.00°, β = 90.00°, γ = 90.00°
Space group Amm2 (No. 38)
Symmetry-distinct sites (fractional):
Sm  0.000  0.000  0.000
Sm  0.500  0.000  0.215
Ge  0.000  0.000  0.360
Ge  0.000  0.000  0.643
Ge  0.500  0.000  0.573
Ge  0.500  0.000  0.857
Pd  0.500  0.000  0.432
Pt  0.000  0.000  0.785

Record 8
A geometry-optimized TbTm2Ge3PdPt2 structure, computed with PBE.

Output
raw total energy: -6.00 eV/atom

a = 3.890 Å, b = 12.520 Å, c = 7.185 Å
α = 90.00°, β = 90.00°, γ = 90.00°
Space group Amm2 (No. 38)
Symmetry-distinct sites (fractional):
Tb  0.000  0.000  0.000
Tm  0.000  0.203  0.609
Ge  0.500  0.000  0.662
Ge  0.500  0.129  0.280
Pd  0.000  0.000  0.410
Pt  0.500  0.169  0.906

=====

Record 1
Tb4AgBi | PBE-GGA | optimized geometry

Properties
DOS at the Fermi energy = 12.88 states/eV/cell
Polymorph energy (0 for the lowest one) = 145.8 meV per atom

a b c (Å): 10.733 10.733 6.438
angles (deg): 90.00 90.00 149.67
Atoms (fractional coordinates):
Tb 0.057 0.943 0.750
Tb 0.207 0.793 0.502
Tb 0.207 0.793 0.998
Tb 0.379 0.621 0.750
Tb 0.621 0.379 0.250
Tb 0.793 0.207 0.002
Tb 0.793 0.207 0.498
Tb 0.943 0.057 0.250
Ag 0.081 0.919 0.250
Ag 0.919 0.081 0.750
Bi 0.352 0.648 0.250
Bi 0.648 0.352 0.750


Record 2
Tb3AgBi | PBE-GGA | optimized geometry

Properties
DOS at the Fermi energy = 10.12 states/eV/cell

a b c (Å): 4.191 6.920 10.316
angles (deg): 90.00 90.00 90.00
Atoms (fractional coordinates):
Tb 0.250 0.004 0.178